Find the line further below that holds "-0.23884 -3.88149", then transcribe that line and all lines after it there.

-- begin --
Entry 1:
ORCA calculation (ωB97M-V/def2-TZVPD) on a structure of composition C10H18CeN3O7P.

CARTESIAN COORDINATES (ANGSTROEM)
Ce: -0.24922 0.23394 0.10559
O: -0.44532 -1.98588 0.34377
C: 0.24770 -2.90614 0.85833
C: 1.59781 -2.75116 1.27339
C: 2.19285 -3.92465 1.81181
C: 3.50976 -3.88759 2.20186
C: 4.27009 -2.72967 2.08459
C: 3.70623 -1.57629 1.56077
C: 2.37688 -1.55138 1.14403
O: 1.84642 -0.43025 0.62320
N: 4.13448 -5.11198 2.75491
O: 5.30154 -5.03996 3.03807
O: 3.43138 -6.08763 2.80529
H: -0.23884 -3.88149 0.98801
H: 1.62769 -4.84127 1.91169
H: 5.30112 -2.75591 2.41067
H: 4.31007 -0.68431 1.48892
N: 3.33140 1.79120 -0.43347
C: 2.62603 3.03922 0.01148
P: 0.81826 2.90189 -0.31955
O: 0.59468 1.90148 -1.44175
O: 0.07569 2.43891 0.91043
C: 0.38826 4.62136 -0.80296
N: -0.90439 4.77476 -1.54266
H: 3.24685 1.65864 -1.44849
H: 2.92216 0.89966 0.03531
H: 4.33196 1.85575 -0.21253
H: 3.09591 3.88725 -0.48851
H: 2.78686 3.14393 1.09185
H: 1.16081 5.03175 -1.45707
H: 0.31158 5.25376 0.08695
H: -1.72645 4.58918 -0.95026
H: -0.95988 4.16896 -2.37532
H: -0.99699 5.74862 -1.87482
C: -3.08184 -0.24505 -0.96386
O: -2.66837 0.58806 0.16051
H: -3.99406 0.16366 -1.41005
H: -3.21060 -1.28867 -0.63907
H: -2.27792 -0.18503 -1.73509
H: -3.39517 0.62784 0.80149

Energy relative to the best compared isomer or geometry (same formula, charge and spin) ... 0.0 kcal per mole
Total charge ... +3
Spin multiplicity ... 2
LUMO energy (spin up / spin down) ... -9.4195 / -9.3993 eV
HOMO-LUMO gap (spin up / spin down) ... 8.09 / 8.12 eV

***

Entry 2:
ORCA calculation (ωB97M-V/def2-TZVPD) on a structure of composition C30H32AsCl5IN4O4Si2Ti.

CARTESIAN COORDINATES (ANGSTROEM)
Ti: -0.45735 -0.64805 0.63182
Cl: 0.83988 3.41455 6.50270
C: 0.25510 2.46158 5.20350
C: 1.11539 1.59603 4.53522
Cl: 2.77020 1.45882 4.97065
C: 0.61574 0.83611 3.49434
Cl: 1.62483 -0.20702 2.52805
C: -0.72330 0.86413 3.11940
O: -1.15463 0.03286 2.18086
C: -1.56192 1.76725 3.76106
Cl: -3.19343 1.86027 3.22802
C: -1.08052 2.55539 4.80044
Cl: -2.13859 3.64777 5.58869
N: -7.91962 4.15215 -4.46004
C: -7.06873 3.63224 -3.88513
C: -5.99958 2.97400 -3.15918
C: -5.79529 3.26148 -1.81316
C: -4.78252 2.61898 -1.11864
C: -3.97895 1.68589 -1.76299
C: -4.18148 1.40317 -3.10866
C: -5.18855 2.04797 -3.80903
C: -2.91024 0.97031 -1.00133
C: -1.72793 1.68135 -0.80023
C: -1.45648 3.00379 -1.21100
C: -0.20853 3.34220 -0.72147
C: 0.25855 2.21513 -0.02684
N: -0.63378 1.21998 -0.06507
C: -3.21277 -0.31416 -0.54679
C: -4.45033 -0.98405 -0.68177
C: -4.31959 -2.22307 -0.09029
C: -3.00324 -2.29526 0.39168
N: -2.33305 -1.17256 0.13890
H: -6.42738 3.98619 -1.31727
H: -4.61749 2.83495 -0.06762
H: -3.54992 0.67519 -3.60675
H: -5.35207 1.83592 -4.85827
H: -2.12415 3.62582 -1.79292
H: 0.31739 4.27965 -0.83805
H: 1.19538 2.10121 0.50122
H: -5.33351 -0.57197 -1.15002
H: -5.06882 -2.99528 0.00148
H: -2.53912 -3.12287 0.89761
O: 1.15163 -0.85501 -0.36553
O: -0.09668 -1.24369 -1.03498
C: 1.41277 0.34226 -3.59645
Si: 3.00618 -0.11673 -2.77590
C: 4.26150 -0.75474 -3.97957
C: 3.68743 1.33124 -1.84362
As: 2.47211 -1.94063 -1.31493
Si: 4.24556 -1.84229 0.27120
C: 5.65161 -2.57794 -0.69821
C: 3.71983 -3.04253 1.59994
C: 4.72554 -0.20781 1.00460
H: 1.53445 1.29275 -4.12905
H: 0.60754 0.45392 -2.86736
H: 1.11205 -0.42545 -4.31777
H: 4.45546 0.01251 -4.73884
H: 3.91632 -1.65925 -4.49192
H: 5.21150 -0.98413 -3.48209
H: 3.74249 2.19323 -2.52067
H: 4.69471 1.13168 -1.46391
H: 3.04720 1.60713 -1.00028
H: 5.31291 -3.39198 -1.35041
H: 6.40089 -2.98815 -0.01269
H: 6.14096 -1.82462 -1.32797
H: 3.84032 -4.06651 1.23136
H: 2.66948 -2.90487 1.87233
H: 4.32604 -2.92316 2.50526
H: 5.52060 0.25118 0.40910
H: 5.10551 -0.36786 2.01960
H: 3.89682 0.50217 1.06329
N: 0.15136 -4.78313 1.74068
C: 0.03943 -3.54395 2.20971
O: -0.03976 -2.60413 1.40033
C: 0.02606 -3.39094 3.70018
I: -1.84677 -2.66149 4.40175
H: 0.17777 -4.92708 0.74411
H: 0.26356 -5.57491 2.34923
H: 0.78602 -2.68330 4.00743
H: 0.17001 -4.33983 4.19893
-- stop --

H: -0.23884 -3.88149 0.98801
H: 1.62769 -4.84127 1.91169
H: 5.30112 -2.75591 2.41067
H: 4.31007 -0.68431 1.48892
N: 3.33140 1.79120 -0.43347
C: 2.62603 3.03922 0.01148
P: 0.81826 2.90189 -0.31955
O: 0.59468 1.90148 -1.44175
O: 0.07569 2.43891 0.91043
C: 0.38826 4.62136 -0.80296
N: -0.90439 4.77476 -1.54266
H: 3.24685 1.65864 -1.44849
H: 2.92216 0.89966 0.03531
H: 4.33196 1.85575 -0.21253
H: 3.09591 3.88725 -0.48851
H: 2.78686 3.14393 1.09185
H: 1.16081 5.03175 -1.45707
H: 0.31158 5.25376 0.08695
H: -1.72645 4.58918 -0.95026
H: -0.95988 4.16896 -2.37532
H: -0.99699 5.74862 -1.87482
C: -3.08184 -0.24505 -0.96386
O: -2.66837 0.58806 0.16051
H: -3.99406 0.16366 -1.41005
H: -3.21060 -1.28867 -0.63907
H: -2.27792 -0.18503 -1.73509
H: -3.39517 0.62784 0.80149

Energy relative to the best compared isomer or geometry (same formula, charge and spin) ... 0.0 kcal per mole
Total charge ... +3
Spin multiplicity ... 2
LUMO energy (spin up / spin down) ... -9.4195 / -9.3993 eV
HOMO-LUMO gap (spin up / spin down) ... 8.09 / 8.12 eV

***

Entry 2:
ORCA calculation (ωB97M-V/def2-TZVPD) on a structure of composition C30H32AsCl5IN4O4Si2Ti.

CARTESIAN COORDINATES (ANGSTROEM)
Ti: -0.45735 -0.64805 0.63182
Cl: 0.83988 3.41455 6.50270
C: 0.25510 2.46158 5.20350
C: 1.11539 1.59603 4.53522
Cl: 2.77020 1.45882 4.97065
C: 0.61574 0.83611 3.49434
Cl: 1.62483 -0.20702 2.52805
C: -0.72330 0.86413 3.11940
O: -1.15463 0.03286 2.18086
C: -1.56192 1.76725 3.76106
Cl: -3.19343 1.86027 3.22802
C: -1.08052 2.55539 4.80044
Cl: -2.13859 3.64777 5.58869
N: -7.91962 4.15215 -4.46004
C: -7.06873 3.63224 -3.88513
C: -5.99958 2.97400 -3.15918
C: -5.79529 3.26148 -1.81316
C: -4.78252 2.61898 -1.11864
C: -3.97895 1.68589 -1.76299
C: -4.18148 1.40317 -3.10866
C: -5.18855 2.04797 -3.80903
C: -2.91024 0.97031 -1.00133
C: -1.72793 1.68135 -0.80023
C: -1.45648 3.00379 -1.21100
C: -0.20853 3.34220 -0.72147
C: 0.25855 2.21513 -0.02684
N: -0.63378 1.21998 -0.06507
C: -3.21277 -0.31416 -0.54679
C: -4.45033 -0.98405 -0.68177
C: -4.31959 -2.22307 -0.09029
C: -3.00324 -2.29526 0.39168
N: -2.33305 -1.17256 0.13890
H: -6.42738 3.98619 -1.31727
H: -4.61749 2.83495 -0.06762
H: -3.54992 0.67519 -3.60675
H: -5.35207 1.83592 -4.85827
H: -2.12415 3.62582 -1.79292
H: 0.31739 4.27965 -0.83805
H: 1.19538 2.10121 0.50122
H: -5.33351 -0.57197 -1.15002
H: -5.06882 -2.99528 0.00148
H: -2.53912 -3.12287 0.89761
O: 1.15163 -0.85501 -0.36553
O: -0.09668 -1.24369 -1.03498
C: 1.41277 0.34226 -3.59645
Si: 3.00618 -0.11673 -2.77590
C: 4.26150 -0.75474 -3.97957
C: 3.68743 1.33124 -1.84362
As: 2.47211 -1.94063 -1.31493
Si: 4.24556 -1.84229 0.27120
C: 5.65161 -2.57794 -0.69821
C: 3.71983 -3.04253 1.59994
C: 4.72554 -0.20781 1.00460
H: 1.53445 1.29275 -4.12905
H: 0.60754 0.45392 -2.86736
H: 1.11205 -0.42545 -4.31777
H: 4.45546 0.01251 -4.73884
H: 3.91632 -1.65925 -4.49192
H: 5.21150 -0.98413 -3.48209
H: 3.74249 2.19323 -2.52067
H: 4.69471 1.13168 -1.46391
H: 3.04720 1.60713 -1.00028
H: 5.31291 -3.39198 -1.35041
H: 6.40089 -2.98815 -0.01269
H: 6.14096 -1.82462 -1.32797
H: 3.84032 -4.06651 1.23136
H: 2.66948 -2.90487 1.87233
H: 4.32604 -2.92316 2.50526
H: 5.52060 0.25118 0.40910
H: 5.10551 -0.36786 2.01960
H: 3.89682 0.50217 1.06329
N: 0.15136 -4.78313 1.74068
C: 0.03943 -3.54395 2.20971
O: -0.03976 -2.60413 1.40033
C: 0.02606 -3.39094 3.70018
I: -1.84677 -2.66149 4.40175
H: 0.17777 -4.92708 0.74411
H: 0.26356 -5.57491 2.34923
H: 0.78602 -2.68330 4.00743
H: 0.17001 -4.33983 4.19893